Scotland: UK government veto over Holyrood gender reform bill was lawful
<<<
(1)
ORCA calculation (the ωB97M-V functional and the def2-TZVPD basis) on a 12-piece molecular cluster, C4H30N2O13 overall.

Each line ends with the Löwdin charge.
Positions of all 49 atoms, in Å:
C  -0.01  2.26  3.93  -0.101
N  -1.33  1.84  3.57  0.008
C  -1.43  0.82  2.60  -0.415
O  -2.49  0.18  2.51  0.037
C  -0.23  0.50  1.73  -0.144
N  -0.46  -0.64  0.87  0.035
C  0.35  -0.93  -0.15  -0.276
O  0.07  -1.94  -0.86  -0.068
H  0.13  3.26  3.88  0.040
H  0.18  1.83  4.90  0.083
H  0.79  1.66  3.28  0.111
H  -2.13  1.94  4.25  0.173
H  0.66  0.07  2.34  0.160
H  0.23  1.30  1.15  0.070
H  -1.36  -1.18  0.90  0.153
H  1.26  -0.35  -0.26  0.128
O  -2.37  -0.46  -1.46  -0.072
H  -2.15  -0.92  -2.38  0.114
H  -2.07  -1.00  -0.79  -0.045
O  3.80  -1.65  -0.32  -0.030
H  4.44  -1.20  -0.89  0.059
H  3.01  -1.75  -0.78  -0.029
O  -2.48  -3.77  -1.12  -0.057
H  -2.28  -3.45  -0.23  0.031
H  -2.00  -4.52  -1.49  0.067
O  2.95  1.91  -2.70  0.008
H  2.20  2.14  -2.09  0.084
H  3.29  2.63  -3.06  -0.038
O  1.87  -0.76  -2.98  0.054
H  1.22  -1.00  -3.52  -0.018
H  2.23  0.05  -3.12  -0.052
O  3.35  1.35  1.00  -0.097
H  4.15  1.96  1.16  0.079
H  3.83  0.49  0.98  0.030
O  0.96  3.49  1.11  0.012
H  1.67  3.24  0.61  -0.026
H  0.25  2.99  0.80  -0.029
O  -0.95  -3.85  1.73  -0.021
H  -0.04  -3.74  1.34  0.077
H  -0.87  -4.52  2.33  -0.020
O  -3.68  1.48  -3.03  -0.072
H  -2.76  1.23  -2.85  -0.003
H  -4.15  1.64  -2.18  0.057
O  -1.15  -2.43  -3.14  -0.089
H  -1.82  -3.01  -2.66  0.035
H  -0.45  -2.27  -2.52  -0.040
O  -1.04  1.67  -0.54  -0.131
H  -1.85  2.35  -0.56  0.137
H  -1.36  1.04  -1.27  0.032

Relative energy (zero: lowest compared OMol25 entry of this formula, charge and spin), kcal/mol: 137.3
Total energy, eV: -34230.8736
SMILES string: CNC(=O)CNC=O.O.O.O.O.O.O.O.O.O.O.O
Highest occupied orbital energy, eV: -9.7
LUMO, eV: 0.0
Kohn-Sham gap, eV: 9.74
Net charge: 0


(2)
ORCA calculation (the ωB97M-V functional and the def2-TZVPD basis) on a 2-piece molecular cluster, C9H9BrCl2F2 overall.

Each line ends with the Löwdin charge.
Positions of all 23 atoms, in Å:
C  1.78  -1.42  -0.05  -0.056
C  1.23  -2.48  0.76  -0.133
C  1.01  -0.77  -0.97  -0.177
C  -0.06  -2.72  0.74  -0.664
C  -1.00  -2.01  -0.17  -0.281
C  -0.31  -1.10  -1.05  -0.658
C  0.08  3.48  0.07  0.015
C  -1.13  1.27  -0.21  -0.529
C  -0.02  1.98  0.48  -0.640
F  -0.13  1.94  1.87  0.010
F  1.23  1.46  0.22  0.017
Cl  -0.73  -3.98  1.75  0.666
Cl  -1.08  -0.74  -2.60  0.666
Br  -2.61  0.67  0.71  0.859
H  2.87  -1.49  -0.03  0.114
H  1.96  -3.12  1.31  0.126
H  1.46  0.10  -1.59  0.149
H  -1.75  -2.73  -0.72  0.162
H  -1.71  -1.43  0.53  0.030
H  -0.67  3.95  0.69  0.076
H  -0.15  3.59  -1.06  0.121
H  1.11  3.75  0.43  0.101
H  -1.39  1.80  -1.10  0.028

Relative energy (zero: lowest compared OMol25 entry of this formula, charge and spin), kcal/mol: 73.6
Total energy, eV: -109997.4537
Highest occupied orbital energy (spin up / spin down), eV: -7.3 / -8.4
>>>
# End of the data records

Scotland’s Court of Session has ruled that the UK government acted lawfully in vetoing the Scottish Parliament’s Gender Recognition Reform Bill from receiving lawful assent, after a legal challenge to the block was brought by the Scottish Ministers.
It was argued for the petitioners that the preconditions to making a section 35 order under the Scotland Act 1998 had not been met. In the event that section 35 was in fact engaged, the order was criticised on the basis of error of law, irrationality, adverse effects, irrelevant considerations, and inadequate reasoning.
Long stop
On 17 January 2023, the Secretary of State for Scotland made an order under section 35 of the Scotland Act 1998 blocking Royal Assent to a Holyrood bill designed to make it easier for people to obtain a Gender Recognition Certificate in Scotland. He did so on the basis that he had reasonable grounds to believe the Bill modified the law as it related to reserved matters and would have an adverse effect on the operation of the law as it related to reserved matters.
The key changes introduced by the Bill were to lower the minimum age at which an application could be made from 18 to 16, to introduce a ‘reflection period’ before a certificate can be granted, to reduce the period in which a person requires to have lived in their acquired gender from 2 years to, generally, 3 months, and to remove the requirement contained in the 2004 Act for a diagnosis of gender dysphoria. A person satisfying these requirements would obtain a Scottish Gender Recognition Certificate, which would have effect only in Scotland.
It was submitted on behalf of the petitioners that the case was not concerned with the legislative competence of the Bill, noting that no reference under section 33 of the Scotland Act had been made. The case truly concerned the proper construction of section 35 and the intention in enacting it. It was clear from debate in the UK Parliament at the time that the power was only ever intended as a “long stop” that should by its mere existence be sufficient to ensure it ought never in practice to be used.
The Lord Advocate went on to submit that it was clear in any event that none of the preconditions required for a section 35 order to be pronounced were in place. The effect of obtaining a GRC would be the same under the 2004 Act procedure and the new Scottish procedure. The Bill had been brought before Holyrood following in depth consultation on its possible effects and at no time prior to the day of the passage of the Bill did the Secretary of State indicate he was considering such an order.
For the respondent it was submitted that section 35 was expressly part of the constitutional structure and any suggestion it had been used under the grounds of a policy disagreement was a red herring. Nothing in the material before the court would permit the conclusion that the making of the order was anything other than a good faith decision.
Sincere view
+++
Entry 1:
# C33H29BrN6O7PS2V

A molecular structure, C33H29BrN6O7PS2V at a distorted geometry (ωB97M-V with the def2-TZVPD basis set, the Open Molecules 2025 dataset).

The charge is +2. The calculation puts the electronic energy at -184641.7194 eV. As for the frontier orbital gap (spin up / spin down): 6.35 / 4.86 eV. As for the HOMO energy (spin up / spin down): -13.75 / -13.75 eV.

Geometry (Å):
V 1.23 0.23 -0.94
O 1.65 3.58 -2.78
C 1.44 3.11 -1.70
O 1.79 1.83 -1.41
C 0.78 3.81 -0.57
C 1.09 5.14 -0.35
C 0.47 5.84 0.68
C -0.50 5.22 1.45
C -0.84 3.89 1.22
C -0.19 3.16 0.22
P -0.79 1.50 -0.19
C -2.02 1.72 -1.48
C -2.30 3.01 -1.96
C -3.27 3.18 -2.93
C -3.97 2.09 -3.43
C -3.69 0.81 -2.96
C -2.72 0.63 -1.99
C -1.53 0.79 1.29
C -2.74 0.11 1.23
C -3.25 -0.47 2.38
C -2.57 -0.37 3.59
C -1.37 0.33 3.65
C -0.85 0.90 2.51
H 1.83 5.62 -0.98
H 0.73 6.87 0.86
H -1.00 5.76 2.23
H -1.62 3.43 1.81
H -1.78 3.87 -1.57
H -3.49 4.18 -3.29
H -4.73 2.24 -4.18
H -4.25 -0.04 -3.33
H -2.52 -0.37 -1.62
H -3.30 0.04 0.31
H -4.19 -1.01 2.34
H -2.97 -0.83 4.48
H -0.84 0.42 4.59
H 0.09 1.44 2.56
O 0.24 -3.74 2.76
S 0.46 -2.49 3.41
O -0.42 -2.01 4.41
N 0.54 -1.32 2.17
C 1.72 -0.84 2.13
S 2.15 0.50 1.03
C 2.72 -1.32 3.10
C 4.04 -0.94 3.28
C 4.77 -1.57 4.29
C 4.18 -2.55 5.08
C 2.85 -2.93 4.90
C 2.15 -2.29 3.90
H 4.51 -0.17 2.67
H 5.80 -1.30 4.45
H 4.77 -3.03 5.86
H 2.39 -3.69 5.52
N 0.28 1.54 -4.47
C -0.07 0.36 -3.96
N -0.71 -0.52 -4.73
O 0.21 0.03 -2.77
H 0.09 1.76 -5.44
H 0.90 2.16 -3.97
H -1.03 -0.28 -5.66
H -1.09 -1.35 -4.31
Br -1.72 -7.29 0.20
C -1.51 -5.54 -0.43
C -2.57 -4.91 -1.08
N -2.50 -3.67 -1.55
C -1.36 -3.01 -1.37
C -0.26 -3.56 -0.73
C -0.32 -4.87 -0.26
C 0.97 -2.77 -0.61
O 2.10 -3.14 -0.53
O 0.74 -1.40 -0.67
H -3.51 -5.43 -1.22
H -1.29 -2.01 -1.77
H 0.53 -5.32 0.24
N 4.02 0.19 -2.23
N 2.83 -0.61 -2.14
H 4.60 -0.15 -2.99
H 4.55 0.06 -1.37
H 3.02 -1.55 -1.79
H 2.45 -0.71 -3.07

=====

Entry 2:
# C33H29FGaO10

A molecular structure, C33H29FGaO10 (ωB97M-V with the def2-TZVPD basis set, the Open Molecules 2025 dataset).

The charge is -1. The calculation puts the electronic energy at -110256.0159 eV. As for the frontier orbital gap: 4.55 eV. As for the HOMO energy: -4.83 eV.

Geometry (Å):
C 5.36 2.93 2.05
C 4.51 4.21 1.97
C 3.36 4.06 0.96
Ga 1.60 3.44 1.76
F 1.75 3.18 3.57
H 4.72 2.06 1.88
H 6.15 2.92 1.30
H 5.81 2.80 3.04
H 5.16 5.04 1.68
H 4.13 4.42 2.97
H 3.65 3.32 0.21
H 3.18 5.00 0.44
H 1.14 2.00 1.15
H 0.43 4.51 1.44
C -2.98 0.74 1.15
C -2.18 1.72 0.74
C -1.51 1.66 -0.59
O -0.76 2.54 -0.94
C -1.75 0.46 -1.43
C -2.53 -0.53 -1.01
C -3.21 -0.46 0.31
O -3.93 -1.37 0.68
H -3.47 0.75 2.11
H -1.96 2.60 1.33
H -1.23 0.43 -2.38
H -2.69 -1.42 -1.59
C 2.78 -1.93 -2.38
C 3.40 -2.76 -1.54
C 2.91 -2.93 -0.14
O 3.46 -3.70 0.62
C 1.72 -2.15 0.27
C 1.10 -1.33 -0.57
C 1.58 -1.16 -1.97
O 1.03 -0.42 -2.75
H 3.12 -1.78 -3.40
H 4.27 -3.34 -1.82
H 1.39 -2.29 1.29
H 0.23 -0.76 -0.28
C 2.23 6.76 -3.51
C 2.10 5.91 -4.53
C 1.48 4.57 -4.34
O 1.37 3.81 -5.29
C 1.01 4.22 -2.99
+++
## The piece goes on
In her decision, Lady Haldane began by observing: “The power contained in the section of the Scotland Act 1998 that lies at the heart of this case has never before been invoked. That is a fact upon which the petitioners place some considerable emphasis, perhaps unsurprisingly. The overarching position of the Scottish Ministers therefore is that the making of the Order on this occasion constitutes an impermissible encroachment upon the separation of powers, fails to respect the principle of parliamentary accountability, and thus undermines the constitutional balance struck at the time the 1998 Act was enacted.”
On the timing of the veto, she said: “Whilst it might entirely understandably be thought to be good practice, or even perhaps in accordance with usual practice, to flag significant concerns about a Bill at the earliest possible opportunity, it is equally the case, as the respondent argued, that until a Bill is in final form (assuming there is no concern about its overall competency) the question of whether or not it might actually (a) modify the law and (b) have an adverse effect upon reserved matters, cannot be known.”
She continued: “Whilst I have no hesitation in accepting that the petitioners hold a sincere view as to what they suspect to be the motivation behind the making of the Order I cannot on the material before me, conclude that the Order was made on this basis.”
No single right answer
### Molecular data from another source follow
____________
{
  "formula": "C18H16N2O5Sr",
  "method": "ωB97M-V/def2-TZVPD",
  "species": ["Sr", "O", "C", "O", "C", "C", "C", "C", "C", "O", "C", "C", "O", "O", "H", "H", "H", "H", "H", "H", "H", "H", "C", "C", "C", "C", "N", "C", "C", "C", "C", "C", "C", "N", "H", "H", "H", "H", "H", "H", "H", "H"],
  "xyz": [[-0.038, 0.022, -0.003], [0.935, 2.943, -2.711], [1.092, 1.883, -2.131], [0.276, 0.875, -2.141], [2.427, 1.698, -1.365], [2.960, 0.255, -1.338], [4.475, 0.270, -1.110], [4.556, 0.644, 0.396], [3.073, 0.777, 0.758], [2.476, -0.264, -0.067], [2.510, 2.078, 0.161], [1.256, 2.633, 0.884], [1.133, 3.844, 0.918], [0.469, 1.767, 1.444], [3.120, 2.340, -1.904], [2.606, -0.382, -2.143], [4.903, -0.715, -1.295], [4.970, 0.988, -1.760], [5.026, -0.150, 0.975], [5.097, 1.570, 0.581], [2.820, 0.599, 1.799], [3.238, 2.879, 0.264], [-4.852, 0.595, 0.109], [-5.440, -0.612, 0.439], [-4.635, -1.715, 0.671], [-3.256, -1.589, 0.567], [-2.692, -0.418, 0.247], [-3.471, 0.640, 0.025], [-2.330, -2.740, 0.804], [-2.796, -4.005, 1.143], [-1.892, -5.032, 1.350], [-0.538, -4.779, 1.215], [-0.154, -3.493, 0.876], [-1.018, -2.501, 0.675], [-5.439, 1.482, -0.080], [-6.515, -0.699, 0.518], [-5.091, -2.659, 0.929], [-2.960, 1.562, -0.231], [-3.852, -4.201, 1.247], [-2.244, -6.021, 1.614], [0.203, -5.551, 1.367], [0.896, -3.247, 0.759]],
  "gap_ha": 0.2592,
  "relative_energy_ev": 0.0000
}


# 1
Here is a structure of composition C29H45N11O14P in a non-equilibrium geometry from the OMol25 dataset. Energies are from ωB97M-V/def2-TZVPD.

Element x y z (Å)
P (-0.07, -0.09, -0.20)
O (0.13, -1.32, -1.04)
O (1.35, 0.64, 0.05)
O (-0.63, -0.37, 1.19)
O (-1.09, 0.73, -0.84)
N (3.50, 1.79, -1.62)
C (4.26, 2.79, -1.02)
C (5.35, 3.19, -2.11)
C (5.09, 2.49, -3.41)
C (3.82, 1.63, -3.03)
H (2.68, 1.42, -1.28)
H (4.19, 3.15, 0.08)
H (6.11, 3.96, -2.12)
H (5.58, 2.46, -4.40)
H (3.28, 0.95, -3.67)
N (-0.65, -0.72, 3.65)
C (0.52, -1.04, 4.45)
C (0.10, -0.86, 5.87)
C (-1.30, -0.51, 5.83)
C (-1.74, -0.37, 4.37)
H (-0.69, -0.48, 2.49)
H (1.54, -1.15, 3.96)
H (0.60, -0.99, 6.78)
H (-1.79, -0.49, 6.68)
H (-2.55, -0.06, 3.71)
N (-1.57, -2.49, -2.36)
C (-1.59, -3.80, -2.85)
C (-2.93, -3.81, -3.49)
C (-3.62, -2.49, -3.47)
C (-2.61, -1.62, -2.74)
H (-0.82, -1.93, -1.82)
H (-0.82, -4.66, -2.52)
H (-3.28, -4.82, -3.86)
H (-4.54, -2.20, -3.93)
H (-2.49, -0.62, -2.54)
N (2.10, -2.26, -3.21)
C (3.46, -2.01, -3.03)
C (4.24, -2.77, -4.04)
C (3.21, -3.32, -4.92)
C (1.92, -2.97, -4.35)
H (1.27, -1.88, -2.59)
H (3.69, -1.25, -2.16)
H (5.48, -2.89, -4.20)
H (3.31, -4.05, -5.82)
H (0.78, -3.13, -4.51)
N (-2.61, 2.09, -2.10)
C (-2.47, 3.05, -3.10)
C (-3.78, 3.72, -3.50)
C (-4.79, 2.70, -2.94)
C (-3.98, 1.87, -1.90)
H (-1.78, 1.55, -1.48)
H (-1.60, 3.19, -3.48)
H (-3.86, 4.51, -4.17)
H (-5.88, 2.62, -3.01)
H (-4.25, 1.00, -1.17)
N (2.85, -0.52, 1.67)
C (2.98, -1.89, 1.64)
C (3.95, -2.41, 2.63)
C (4.41, -1.12, 3.31)
C (3.63, 0.03, 2.65)
H (2.23, 0.01, 1.09)
H (2.36, -2.31, 1.01)
H (4.16, -3.51, 2.63)
H (5.00, -0.89, 4.30)
____________
Turning to the circumstances in which section 35 can be invoked, Lady Haldane said: “The effect of the amendment to section 25 [of the Gender Recognition Act 2004] will be to alter the unqualified continuation in force of section 9 of the 2004 Act. That section has in substance been amended by the Bill, and on the basis of the acceptance by the petitioners that section 9 operates as the interface between the Bill and the Equality Act, which is within the reserved area of Equal Opportunities, the first precondition of section 35 has been met, and the section is therefore engaged.”
She went on to say: “This is plainly a situation where another decision might have been made with equal propriety, and its predictive nature means that there is possibly no single right answer. That being so, the court should intervene only if no reasonable authority could have been satisfied on the basis of the inquiries made that it possessed the information necessary for its decision. I cannot conclude that that limb of the test is satisfied in this case.”
Evaluating further the reasoning behind the Secretary of State’s decision, Lady Haldane added: “The Secretary of State only being bound to take such steps as are reasonable to inform himself and provide reasons, as well as the lack of any specific requirement in the 1998 Act as to any particular requirements or standard that the reasons must achieve. It is also worth noting perhaps, that until the present litigation, there was no suggestion on the part of the petitioners that they were unable to understand the reasons or found them to be unintelligible or ambiguous.”
She concluded: “It follows from all of the foregoing analysis that the challenge to the Order pronounced under section 35 of the 1998 Act, laid on 17 January 2023, fails. In so concluding it is important to recognise the novelty and complexity of the arguments and the sophisticated manner in which those arguments were presented before me and from which I derived considerable assistance.”
The petition was therefore dismissed.